'''
For Ac2Nd3NpN6, the PBE geometry in Alexandria gives the theoretical powder diffractogram in this record (λ = 1.5418 Å (Cu Kα)).
Neutral-atom scattering factors, no anomalous dispersion.

Atomic structure:
abc: 6.4136 11.2060 6.3406
angles: 90.00 109.69 90.00
Space group C2/m (No. 12)
One atom of each set of equivalent atoms:
Ac 0.0000 0.1664 0.0000
Nd 0.0000 0.0000 0.5000
Nd 0.0000 0.3430 0.5000
Np 0.0000 0.5000 0.0000
N 0.2161 0.3594 0.2277
N 0.2228 0.5000 0.7482

Main lines, low angle first (2θ from 5° to 70°):
2θ = 29.4°, 3.036 Å, I = 100, (1 3 -1)
2θ = 29.6°, 3.019 Å, I = 50, (2 0 0)
2θ = 29.9°, 2.985 Å, I = 48, (0 0 2)
2θ = 34.2°, 2.618 Å, I = 89, (1 3 1)
2θ = 34.4°, 2.607 Å, I = 45, (2 0 -2)
2θ = 48.8°, 1.868 Å, I = 16, (0 6 0)
2θ = 49.1°, 1.855 Å, I = 32, (3 3 -1)
2θ = 49.6°, 1.839 Å, I = 31, (1 3 -3)
2θ = 58.1°, 1.588 Å, I = 16, (2 6 0)
2θ = 58.3°, 1.583 Å, I = 16, (0 6 2)
2θ = 58.5°, 1.577 Å, I = 24, (3 3 1)
2θ = 61.0°, 1.518 Å, I = 16, (2 6 -2)



For Ac2NdP2N6, the PBE geometry in Alexandria gives the theoretical powder diffractogram in this record (λ = 1.5418 Å (Cu Kα)).
Neutral-atom scattering factors, no anomalous dispersion.

Atomic structure:
abc: 5.9366 5.9366 6.3112
angles: 90.00 90.00 120.00
Space group P-3 (No. 147)
One atom of each set of equivalent atoms:
Ac 0.3333 0.6667 0.3290
Nd 0.0000 0.0000 0.0000
P 0.3333 0.6667 0.8098
N 0.1108 0.3722 0.7575

Main lines, low angle first (2θ from 5° to 70°):
2θ = 17.2°, 5.141 Å, I = 9, (1 0 0)
2θ = 22.3°, 3.986 Å, I = 100, (0 1 1)
2θ = 30.1°, 2.968 Å, I = 75, (1 1 0)
2θ = 33.3°, 2.689 Å, I = 66, (1 0 2)
2θ = 37.8°, 2.381 Å, I = 37, (2 0 1)
2θ = 45.5°, 1.993 Å, I = 28, (0 2 2)
2θ = 49.1°, 1.857 Å, I = 30, (1 2 1)
2θ = 53.4°, 1.715 Å, I = 41, (3 0 0)
2θ = 55.5°, 1.655 Å, I = 29, (2 1 2)
2θ = 61.5°, 1.508 Å, I = 12, (0 1 4)
2θ = 62.6°, 1.484 Å, I = 11, (2 2 0)
2θ = 67.3°, 1.391 Å, I = 11, (4 -1 1)



For Ac2NdPaN5, the PBE geometry in Alexandria gives the theoretical powder diffractogram in this record (λ = 1.5418 Å (Cu Kα)).
Neutral-atom scattering factors, no anomalous dispersion.

Atomic structure:
abc: 4.2500 4.2500 9.3507
angles: 90.00 90.00 90.00
Space group P4/mmm (No. 123)
One atom of each set of equivalent atoms:
Ac 0.0000 0.0000 0.2256
Nd 0.5000 0.5000 0.5000
Pa 0.5000 0.5000 0.0000
N 0.0000 0.0000 0.5000
N 0.0000 0.5000 0.0000
N 0.5000 0.5000 0.2498

Main lines, low angle first (2θ from 5° to 70°):
2θ = 9.5°, 9.351 Å, I = 14, (0 0 1)
2θ = 28.4°, 3.145 Å, I = 100, (1 0 2)
2θ = 29.7°, 3.005 Å, I = 54, (1 1 0)
2θ = 35.7°, 2.513 Å, I = 8, (1 0 3)
2θ = 38.5°, 2.338 Å, I = 13, (0 0 4)
2θ = 42.5°, 2.125 Å, I = 23, (2 0 0)
2θ = 49.4°, 1.845 Å, I = 22, (1 1 4)
2θ = 51.9°, 1.761 Å, I = 40, (2 1 2)
2θ = 58.7°, 1.572 Å, I = 15, (2 0 4)
2θ = 61.7°, 1.503 Å, I = 8, (2 2 0)
2θ = 63.6°, 1.463 Å, I = 7, (1 0 6)
2θ = 69.3°, 1.356 Å, I = 9, (3 0 2)



For Ac3NdPb2N, the PBE geometry in Alexandria gives the theoretical powder diffractogram in this record (λ = 1.5418 Å (Cu Kα)).
Neutral-atom scattering factors, no anomalous dispersion.

Atomic structure:
abc: 5.0837 5.1905 17.6301
angles: 90.00 90.00 90.00
Space group Immm (No. 71)
One atom of each set of equivalent atoms:
Ac 0.0000 0.0000 0.0000
Ac 0.0000 0.5000 0.1639
Nd 0.0000 0.0000 0.5000
Pb 0.0000 0.5000 0.3613
N 0.0000 0.5000 0.0000

Main lines, low angle first (2θ from 5° to 70°):
2θ = 24.5°, 3.632 Å, I = 25, (1 1 0)
2θ = 26.5°, 3.358 Å, I = 65, (1 1 2)
2θ = 30.4°, 2.938 Å, I = 31, (0 0 6)
2θ = 31.9°, 2.803 Å, I = 100, (1 1 4)
2θ = 34.6°, 2.595 Å, I = 32, (0 2 0)
2θ = 35.3°, 2.542 Å, I = 30, (2 0 0)
2θ = 46.7°, 1.945 Å, I = 19, (0 2 6)
2θ = 47.3°, 1.922 Å, I = 18, (2 0 6)
2θ = 50.2°, 1.816 Å, I = 22, (2 2 0)
2θ = 58.2°, 1.586 Å, I = 25, (1 1 10)
2θ = 59.9°, 1.545 Å, I = 18, (2 2 6)
2θ = 60.3°, 1.535 Å, I = 17, (1 3 4)



For AcNd2PtN4, the PBE geometry in Alexandria gives the theoretical powder diffractogram in this record (λ = 1.5418 Å (Cu Kα)).
Neutral-atom scattering factors, no anomalous dispersion.
'''
Count the lines further above that contain the word "each" and give the number alone.
4